**To do**
Set down the contents further down word for word.

**Excerpt**
~~~
A relaxed Rb2Ta2O5 crystal. Source: the Materials Project database, functional PBE.

```
Rb2Ta2O5
1.0
0.239 -9.076 -0.121
-7.125 -5.493 1.226
2.737 7.308 -4.642
Rb Ta O
4 4 10
Direct
0.622 0.114 0.492 Rb
0.378 0.886 0.508 Rb
0.122 0.630 0.508 Rb
0.878 0.370 0.492 Rb
0.000 0.000 0.000 Ta
0.500 0.500 0.000 Ta
0.250 0.283 0.033 Ta
0.750 0.717 0.967 Ta
0.249 0.749 0.000 O
0.251 0.251 0.500 O
0.749 0.749 0.500 O
0.751 0.251 0.000 O
0.128 0.125 0.996 O
0.872 0.875 0.004 O
0.628 0.632 0.004 O
0.372 0.368 0.996 O
0.000 0.500 0.000 O
0.500 0.500 0.500 O
```

Properties
- ΔH_f (0 K): -2.56 eV/atom
- Space group: Imma
- Spin magnetization: 0.000 μB/atom

A relaxed Rb8Ta6O23 crystal. Source: the Materials Project database, functional PBE.

```
Rb8Ta6O23
1.0
3.439 -8.651 3.169
8.285 4.209 -3.216
2.385 5.716 13.323
Rb Ta O
16 12 46
Direct
0.162 0.838 0.250 Rb
0.838 0.162 0.750 Rb
0.652 0.348 0.250 Rb
0.348 0.652 0.750 Rb
0.037 0.887 0.623 Rb
0.113 0.963 0.877 Rb
0.963 0.113 0.377 Rb
0.887 0.037 0.123 Rb
0.273 0.454 0.318 Rb
0.546 0.727 0.182 Rb
0.727 0.546 0.682 Rb
0.454 0.273 0.818 Rb
0.883 0.576 0.415 Rb
0.424 0.117 0.085 Rb
0.117 0.424 0.585 Rb
0.576 0.883 0.915 Rb
0.201 0.676 0.030 Ta
0.324 0.799 0.470 Ta
0.799 0.324 0.970 Ta
0.676 0.201 0.530 Ta
0.854 0.668 0.028 Ta
0.332 0.146 0.472 Ta
0.146 0.332 0.972 Ta
0.668 0.854 0.528 Ta
0.989 0.440 0.157 Ta
0.560 0.011 0.343 Ta
0.011 0.560 0.843 Ta
0.440 0.989 0.657 Ta
0.188 0.652 0.446 O
0.348 0.812 0.054 O
0.812 0.348 0.554 O
0.652 0.188 0.946 O
0.795 0.746 0.548 O
0.254 0.205 0.952 O
0.205 0.254 0.452 O
0.746 0.795 0.048 O
0.973 0.392 0.277 O
0.608 0.027 0.223 O
0.027 0.608 0.723 O
0.392 0.973 0.777 O
0.044 0.778 0.048 O
0.222 0.956 0.452 O
0.956 0.222 0.952 O
0.778 0.044 0.548 O
0.155 0.591 0.154 O
0.409 0.845 0.346 O
0.845 0.409 0.846 O
0.591 0.155 0.654 O
0.715 0.493 0.000 O
0.507 0.285 0.500 O
0.285 0.507 0.000 O
0.493 0.715 0.500 O
0.866 0.582 0.151 O
0.418 0.134 0.349 O
0.134 0.418 0.849 O
0.582 0.866 0.651 O
0.826 0.308 0.104 O
0.692 0.174 0.396 O
0.174 0.692 0.896 O
0.308 0.826 0.604 O
0.107 0.311 0.107 O
0.689 0.893 0.393 O
0.893 0.689 0.893 O
0.311 0.107 0.607 O
0.000 0.500 0.000 O
0.500 0.000 0.500 O
0.472 0.436 0.112 O
0.564 0.528 0.388 O
0.528 0.564 0.888 O
0.436 0.472 0.612 O
0.874 0.818 0.281 O
0.182 0.126 0.219 O
0.126 0.182 0.719 O
0.818 0.874 0.781 O
```

Properties
- ΔH_f (0 K): -2.43 eV/atom
- Space group: C2/c
- Spin magnetization: 0.221 μB/atom

A relaxed RbTa3Te2O12 crystal. Source: the Materials Project database, functional PBE.

```
RbTa3Te2O12
1.0
3.990 0.000 0.000
0.000 15.215 0.000
0.000 0.000 17.765
Rb Ta Te O
4 12 8 48
Direct
0.215 0.074 0.750 Rb
0.785 0.926 0.250 Rb
0.215 0.426 0.250 Rb
0.785 0.574 0.750 Rb
0.258 0.794 0.750 Ta
0.742 0.206 0.250 Ta
0.258 0.706 0.250 Ta
0.742 0.294 0.750 Ta
0.748 0.151 0.569 Ta
0.252 0.849 0.069 Ta
0.748 0.349 0.431 Ta
0.252 0.651 0.931 Ta
0.252 0.849 0.431 Ta
0.748 0.151 0.931 Ta
0.252 0.651 0.569 Ta
0.748 0.349 0.069 Ta
0.623 0.914 0.597 Te
0.377 0.086 0.097 Te
0.623 0.586 0.403 Te
0.377 0.414 0.903 Te
0.377 0.086 0.403 Te
0.623 0.914 0.903 Te
0.377 0.414 0.597 Te
0.623 0.586 0.097 Te
0.282 0.932 0.524 O
0.718 0.068 0.024 O
0.282 0.568 0.476 O
~~~

**Here it is**
A relaxed Rb2Ta2O5 crystal. Source: the Materials Project database, functional PBE.

```
Rb2Ta2O5
1.0
0.239 -9.076 -0.121
-7.125 -5.493 1.226
2.737 7.308 -4.642
Rb Ta O
4 4 10
Direct
0.622 0.114 0.492 Rb
0.378 0.886 0.508 Rb
0.122 0.630 0.508 Rb
0.878 0.370 0.492 Rb
0.000 0.000 0.000 Ta
0.500 0.500 0.000 Ta
0.250 0.283 0.033 Ta
0.750 0.717 0.967 Ta
0.249 0.749 0.000 O
0.251 0.251 0.500 O
0.749 0.749 0.500 O
0.751 0.251 0.000 O
0.128 0.125 0.996 O
0.872 0.875 0.004 O
0.628 0.632 0.004 O
0.372 0.368 0.996 O
0.000 0.500 0.000 O
0.500 0.500 0.500 O
```

Properties
- ΔH_f (0 K): -2.56 eV/atom
- Space group: Imma
- Spin magnetization: 0.000 μB/atom

A relaxed Rb8Ta6O23 crystal. Source: the Materials Project database, functional PBE.

```
Rb8Ta6O23
1.0
3.439 -8.651 3.169
8.285 4.209 -3.216
2.385 5.716 13.323
Rb Ta O
16 12 46
Direct
0.162 0.838 0.250 Rb
0.838 0.162 0.750 Rb
0.652 0.348 0.250 Rb
0.348 0.652 0.750 Rb
0.037 0.887 0.623 Rb
0.113 0.963 0.877 Rb
0.963 0.113 0.377 Rb
0.887 0.037 0.123 Rb
0.273 0.454 0.318 Rb
0.546 0.727 0.182 Rb
0.727 0.546 0.682 Rb
0.454 0.273 0.818 Rb
0.883 0.576 0.415 Rb
0.424 0.117 0.085 Rb
0.117 0.424 0.585 Rb
0.576 0.883 0.915 Rb
0.201 0.676 0.030 Ta
0.324 0.799 0.470 Ta
0.799 0.324 0.970 Ta
0.676 0.201 0.530 Ta
0.854 0.668 0.028 Ta
0.332 0.146 0.472 Ta
0.146 0.332 0.972 Ta
0.668 0.854 0.528 Ta
0.989 0.440 0.157 Ta
0.560 0.011 0.343 Ta
0.011 0.560 0.843 Ta
0.440 0.989 0.657 Ta
0.188 0.652 0.446 O
0.348 0.812 0.054 O
0.812 0.348 0.554 O
0.652 0.188 0.946 O
0.795 0.746 0.548 O
0.254 0.205 0.952 O
0.205 0.254 0.452 O
0.746 0.795 0.048 O
0.973 0.392 0.277 O
0.608 0.027 0.223 O
0.027 0.608 0.723 O
0.392 0.973 0.777 O
0.044 0.778 0.048 O
0.222 0.956 0.452 O
0.956 0.222 0.952 O
0.778 0.044 0.548 O
0.155 0.591 0.154 O
0.409 0.845 0.346 O
0.845 0.409 0.846 O
0.591 0.155 0.654 O
0.715 0.493 0.000 O
0.507 0.285 0.500 O
0.285 0.507 0.000 O
0.493 0.715 0.500 O
0.866 0.582 0.151 O
0.418 0.134 0.349 O
0.134 0.418 0.849 O
0.582 0.866 0.651 O
0.826 0.308 0.104 O
0.692 0.174 0.396 O
0.174 0.692 0.896 O
0.308 0.826 0.604 O
0.107 0.311 0.107 O
0.689 0.893 0.393 O
0.893 0.689 0.893 O
0.311 0.107 0.607 O
0.000 0.500 0.000 O
0.500 0.000 0.500 O
0.472 0.436 0.112 O
0.564 0.528 0.388 O
0.528 0.564 0.888 O
0.436 0.472 0.612 O
0.874 0.818 0.281 O
0.182 0.126 0.219 O
0.126 0.182 0.719 O
0.818 0.874 0.781 O
```

Properties
- ΔH_f (0 K): -2.43 eV/atom
- Space group: C2/c
- Spin magnetization: 0.221 μB/atom

A relaxed RbTa3Te2O12 crystal. Source: the Materials Project database, functional PBE.

```
RbTa3Te2O12
1.0
3.990 0.000 0.000
0.000 15.215 0.000
0.000 0.000 17.765
Rb Ta Te O
4 12 8 48
Direct
0.215 0.074 0.750 Rb
0.785 0.926 0.250 Rb
0.215 0.426 0.250 Rb
0.785 0.574 0.750 Rb
0.258 0.794 0.750 Ta
0.742 0.206 0.250 Ta
0.258 0.706 0.250 Ta
0.742 0.294 0.750 Ta
0.748 0.151 0.569 Ta
0.252 0.849 0.069 Ta
0.748 0.349 0.431 Ta
0.252 0.651 0.931 Ta
0.252 0.849 0.431 Ta
0.748 0.151 0.931 Ta
0.252 0.651 0.569 Ta
0.748 0.349 0.069 Ta
0.623 0.914 0.597 Te
0.377 0.086 0.097 Te
0.623 0.586 0.403 Te
0.377 0.414 0.903 Te
0.377 0.086 0.403 Te
0.623 0.914 0.903 Te
0.377 0.414 0.597 Te
0.623 0.586 0.097 Te
0.282 0.932 0.524 O
0.718 0.068 0.024 O
0.282 0.568 0.476 O